### Input
- - -
No. 1
Starting from a cell relaxed with PBE, the powder diffraction line list of Ti8Ga6Sn was calculated for Cu Kα X-rays.

The 10 most intense peaks (5 to 70 degrees two-theta), by angle:
2θ (°), I_rel, h k l
27.4, 31, 0 2 1
28.9, 23, 1 1 3
35.4, 43, 0 2 4
37.6, 100, 1 2 2
40.7, 41, 3 0 0
41.8, 67, 1 1 6
42.8, 78, 3 -1 4
48.5, 18, 0 1 8
62.0, 19, 2 3 2
64.2, 17, 4 1 0

Cell and atoms:
```
data_Ti8Ga6Sn
_symmetry_space_group_name_H-M 'R -3'
_symmetry_Int_Tables_number 148
_symmetry_space_group_name_Hall '-R 3'
_cell_length_a 7.6768
_cell_length_b 7.6768
_cell_length_c 15.6660
_cell_angle_alpha 90.00
_cell_angle_beta 90.00
_cell_angle_gamma 120.00
loop_
_atom_site_label
_atom_site_fract_x
_atom_site_fract_y
_atom_site_fract_z
_atom_site_occupancy
Ti1 0.0000 0.0000 0.2452 1
Ti2 0.0046 0.7433 0.3828 1
Ga1 0.0340 0.7657 0.8925 1
Sn1 0.0000 0.0000 0.5000 1
```

=====

No. 2
Starting from a cell relaxed with PBE, the powder diffraction line list of Ti5Ga4Sn was calculated for Cu Kα X-rays.

The 10 most intense peaks (5 to 70 degrees two-theta), by angle:
2θ (°), I_rel, h k l
15.0, 2, 1 1 0
19.8, 2, 1 0 1
29.2, 15, 2 1 1
33.8, 100, 0 0 2
36.4, 2, 3 0 1
42.5, 2, 3 2 1
48.6, 69, 1 3 2
57.6, 3, 2 1 3
57.7, 6, 5 0 1
60.5, 23, 4 2 2

Cell and atoms:
```
data_Ti5Ga4Sn
_symmetry_space_group_name_H-M 'I 4/m'
_symmetry_Int_Tables_number 87
_symmetry_space_group_name_Hall '-I 4'
_cell_length_a 8.376
_cell_length_b 8.376
_cell_length_c 5.312
_cell_angle_alpha 90.00
_cell_angle_beta 90.00
_cell_angle_gamma 90.00
loop_
_atom_site_label
_atom_site_fract_x
_atom_site_fract_y
_atom_site_fract_z
_atom_site_occupancy
Ti1 0.000 0.000 0.000 1
Ti2 0.098 0.314 0.500 1
Ga1 0.107 0.295 0.000 1
Sn1 0.000 0.000 0.500 1
```

=====

No. 3
Starting from a cell relaxed with PBE, the powder diffraction line list of Ti8Ga2Sn3 was calculated for Cu Kα X-rays.

The 10 most intense peaks (5 to 70 degrees two-theta), by angle:
2θ (°), I_rel, h k l
24.2, 46, 0 1 5
32.9, 68, 1 1 0
36.0, 18, 1 0 10
37.8, 41, 1 1 6
38.7, 100, 0 1 11
41.3, 42, 2 0 5
53.5, 14, 1 0 16
58.8, 17, 3 0 0
62.7, 33, 1 2 11
69.1, 23, 2 2 0

Cell and atoms:
```
data_Ti8Ga2Sn3
_symmetry_space_group_name_H-M 'R -3 m'
_symmetry_Int_Tables_number 166
_symmetry_space_group_name_Hall '-R 3 2"'
_cell_length_a 5.4375
_cell_length_b 5.4375
_cell_length_c 29.4275
_cell_angle_alpha 90.00
_cell_angle_beta 90.00
_cell_angle_gamma 120.00
loop_
_atom_site_label
_atom_site_fract_x
_atom_site_fract_y
_atom_site_fract_z
_atom_site_occupancy
Ti1 0.0000 0.0000 0.2190 1
Ti2 0.0026 0.5013 0.7262 1
Ga1 0.0000 0.0000 0.1318 1
Sn1 0.0000 0.0000 0.3103 1
Sn2 0.0000 0.0000 0.5000 1
```

=====

No. 4
Starting from a cell relaxed with PBE, the powder diffraction line list of TlGaSn5 was calculated for Cu Kα X-rays.

The 10 most intense peaks (5 to 70 degrees two-theta), by angle:
2θ (°), I_rel, h k l
19.5, 15, 1 0 0
26.8, 14, 1 0 2
33.3, 100, 1 1 2
36.9, 19, 0 0 4
39.5, 32, 2 0 0
55.2, 24, 2 0 4
57.1, 11, 2 2 0
64.3, 16, 1 1 6
67.7, 27, 3 1 2
70.0, 12, 2 2 4

Cell and atoms:
```
data_TlGaSn5
_symmetry_space_group_name_H-M 'P 4/m m m'
_symmetry_Int_Tables_number 123
_symmetry_space_group_name_Hall '-P 4 2'
_cell_length_a 4.563
_cell_length_b 4.563
_cell_length_c 9.734
_cell_angle_alpha 90.00
_cell_angle_beta 90.00
_cell_angle_gamma 90.00
loop_
_atom_site_label
_atom_site_fract_x
_atom_site_fract_y
_atom_site_fract_z
_atom_site_occupancy
Tl1 0.000 0.000 0.000 1
Ga1 0.500 0.500 0.500 1
Sn1 0.000 0.000 0.500 1
Sn2 0.000 0.500 0.252 1
```

=====

No. 5
Starting from a cell relaxed with PBE, the powder diffraction line list of TlGa3Sn was calculated for Cu Kα X-rays.

The 10 most intense peaks (5 to 70 degrees two-theta), by angle:
2θ (°), I_rel, h k l
23.2, 27, 1 3 0
23.4, 54, 1 1 1
28.1, 78, 1 3 1
31.6, 48, 0 0 2
31.9, 58, 1 5 0
36.5, 74, 0 6 1
38.6, 100, 2 2 1
39.5, 57, 1 3 2
60.9, 27, 2 2 3
66.0, 40, 2 8 2

Cell and atoms:
```
data_TlGa3Sn
_symmetry_space_group_name_H-M 'C m c m'
_symmetry_Int_Tables_number 63
- - -

### Exercise
Count the lines earlier on that contain the word "atoms" and give the number alone.

### Written answer
5